Wanted.
Work out how many lines further down have the word "structural" in them; a number is enough.

Excerpt.
First-principles (PBE) data for Rb4PbO4 after structural relaxation, as listed in the Materials Project database.

Cell: 19.6631 6.9988 7.0152 Å, 67.14 90.00 90.00°
Closest atoms and distances in Å follow each position.
Element x y z (fractional)
O 0.0466 0.3840 0.7928  1 Pb 2.12
O 0.1693 0.9862 0.0304  1 Pb 2.12
O 0.4534 0.8840 0.7928  1 Pb 2.12
O 0.3307 0.4862 0.0304  1 Pb 2.12
O 0.3054 0.9081 0.5607  1 Pb 2.12
O 0.8307 0.0138 0.9696  1 Pb 2.12
O 0.9534 0.6160 0.2072  1 Pb 2.12
O 0.6946 0.0919 0.4393  1 Pb 2.12
O 0.5938 0.4897 0.4175  1 Pb 2.13
O 0.0938 0.0103 0.5825  1 Pb 2.13
O 0.6693 0.5138 0.9696  1 Pb 2.12
O 0.8054 0.5919 0.4393  1 Pb 2.12
O 0.4062 0.5103 0.5825  1 Pb 2.13
O 0.1946 0.4081 0.5607  1 Pb 2.12
O 0.9062 0.9897 0.4175  1 Pb 2.13
O 0.5466 0.1160 0.2072  1 Pb 2.12
Rb 0.7157 0.3218 0.6983  3 O 2.71-2.89
Rb 0.1900 0.6812 0.8068  5 O 2.92-3.21
Rb 0.7843 0.8218 0.6983  3 O 2.71-2.89
Rb 0.5156 0.2549 0.7806  4 O 2.80-2.88
Rb 0.4184 0.2125 0.3592  5 O 2.92-3.09
Rb 0.0156 0.2451 0.2194  4 O 2.80-2.88
Rb 0.4844 0.7451 0.2194  4 O 2.80-2.88
Rb 0.2843 0.6782 0.3017  3 O 2.71-2.89
Rb 0.2157 0.1782 0.3017  3 O 2.71-2.89
Rb 0.8100 0.3188 0.1932  5 O 2.92-3.21
Rb 0.9844 0.7549 0.7806  4 O 2.80-2.88
Rb 0.9184 0.2875 0.6408  5 O 2.92-3.09
Rb 0.3100 0.1812 0.8068  5 O 2.92-3.21
Rb 0.0816 0.7125 0.3592  5 O 2.92-3.09
Rb 0.6900 0.8188 0.1932  5 O 2.92-3.21
Rb 0.5816 0.7875 0.6408  5 O 2.92-3.09
Pb 0.3769 0.6904 0.7525  4 O 2.12-2.13
Pb 0.8769 0.8096 0.2475  4 O 2.12-2.13
Pb 0.6231 0.3096 0.2475  4 O 2.12-2.13
Pb 0.1231 0.1904 0.7525  4 O 2.12-2.13

The energy relative to the elements comes out at -1526.4 meV per atom.

~~~~~

(1)
CsBiS2, optimized geometry, DFT meta-GGA r2SCAN; theoretical density = 4.9 g/cm³; crystal system = monoclinic; calculated volume = 34.7 A^3/atom; SG = No. 14; formation energy = -867 meV per atom; size of the total moment = 0.00 Bohr magnetons per cell
1.0
7.999 0.000 0.000
0.000 9.577 0.000
-1.604 0.000 7.245
Cs Bi S
4 4 8
Cartesian
0.582 0.662 2.081
-0.221 4.127 5.704
6.615 5.451 1.541
5.813 8.915 5.164
2.744 6.385 2.598
1.942 7.981 6.220
4.452 1.597 1.025
3.650 3.192 4.647
0.685 7.140 3.912
1.487 7.226 0.289
1.328 0.848 5.827
2.130 3.940 2.205
4.264 5.637 5.041
5.066 8.729 1.418
4.907 2.351 6.956
5.710 2.438 3.333

(2)
CsBi3S5, optimized geometry, DFT meta-GGA r2SCAN; theoretical density = 5.7 g/cm³; crystal system = orthorhombic; calculated volume = 29.6 A^3/atom; SG = No. 62; formation energy = -659 meV per atom; size of the total moment = 0.00 Bohr magnetons per cell
1.0
12.229 0.000 0.000
0.000 4.087 0.000
0.000 0.000 21.309
Cs Bi S
4 12 20
Cartesian
0.052 1.022 2.375
6.062 3.065 13.030
6.167 1.022 8.280
12.176 3.065 18.934
1.579 1.022 13.777
1.793 1.022 6.567
2.015 3.065 10.108
4.099 1.022 20.762
4.321 3.065 17.221
4.536 3.065 3.122
7.693 1.022 18.187
7.907 1.022 4.088
8.129 3.065 0.547
10.214 1.022 11.201
10.436 3.065 14.742
10.650 3.065 7.532
0.140 1.022 8.881
0.174 3.065 5.523
2.686 3.065 0.585
2.772 1.022 18.502
3.047 3.065 14.752
3.068 1.022 4.097
3.343 3.065 7.847
3.428 1.022 11.240
5.940 1.022 16.177
5.975 3.065 19.536
6.254 1.022 1.774
6.288 3.065 5.132
8.801 3.065 10.069
8.886 1.022 13.462
9.161 3.065 17.212
9.182 1.022 6.557
9.457 3.065 2.807
9.542 1.022 20.724
12.055 1.022 15.787
12.089 3.065 12.428

(3)
Cs2ZnBi2S5, optimized geometry, DFT meta-GGA r2SCAN; theoretical density = 5.0 g/cm³; crystal system = orthorhombic; calculated volume = 30.1 A^3/atom; SG = No. 62; formation energy = -919 meV per atom; size of the total moment = 0.00 Bohr magnetons per cell
1.0
15.966 0.000 0.000
0.000 4.117 0.000
0.000 0.000 18.292
Cs Zn Bi S
8 4 8 20
Cartesian
0.091 1.029 2.225
0.622 3.088 6.965
7.361 1.029 16.111
7.892 3.088 11.371

Solution.
1